Monday, September 23, 2013

the SLO life

                                          It was a busy summer. 
                                        Full of pool time and play,
                                      Bright skies and sunny days,
                                  Starting with sand between our toes
                                   And ending with a sunburned nose.

I have gone through a couple thousand baby wipes, drank about 
100 cups of coffee, and slathered on countless tubes of sunscreen.
 I have laughed a little, and cried a lot. It was amazing, busy,
 heartbreaking, fun and fulfilling all at once. There were some bitter 
disappointments as well.

 I was so happy to be there, in spite of all of that. 
And I got to spend it with some of the most beautiful, funny, and 
frustrating little people that I know. Little miss Avie, about 2 months 
old here. She smiles, coos, sleeps through the night most of the time, 
tries to laugh, loves to nurse and cuddle, and is about the sweetest
 little baby you could ever imagine.

My other girls are all stuck on my iPhone...oops. More pictures of them 
   I learned how to drive on this road, back when I was fourteen, and my 
   dad would come to visit.

   I also drank a good amount of wine... It's a good place for that.

********
A molecular structure, C48H52N3O6PSiSr, computed with ωB97M-V/def2-TZVPD.

The geometry in XYZ format:
```
112
C48H52N3O6PSiSr, DFT ωB97M-V/def2-TZVPD
H 1.6811 4.2939 -3.5105
H 3.5712 5.2890 -3.0497
P -0.9058 2.1428 1.2598
H 5.4484 5.5145 -1.4761
H -1.0663 -6.3044 -2.5689
H -6.2106 -2.4766 -1.9330
H 0.3612 4.3756 -0.3520
H -3.4992 2.6150 0.1909
O -0.7194 -2.2327 -0.4983
H -7.0233 -3.7461 0.0338
C -0.7577 -2.1871 -3.6926
C -2.3822 -0.0154 3.1103
O 1.6456 3.5498 -2.9017
C -2.5844 5.1879 -1.8034
Si -1.3650 -3.4875 -1.2295
H 1.1270 -2.6081 1.7274
C 1.2018 -2.2278 2.7498
C -1.2878 -1.8915 2.6744
H -0.2994 -1.4699 -3.0259
C 3.6445 4.6290 -2.1909
C -1.9958 -3.9868 -5.3736
H 1.1258 1.1882 -3.0096
H 0.1502 -0.7225 4.8005
H 1.9401 0.8291 -4.4918
C -1.5101 3.4258 0.0854
C -3.6973 -4.3161 0.3253
H -0.9762 -1.9245 5.4434
C -1.3384 -2.8893 -5.9131
H 2.8770 1.8298 4.3417
H -4.2118 0.8307 4.7896
C 4.7004 4.7506 -1.3063
C 2.6594 3.6621 -2.0007
H -5.3998 -4.9060 1.4945
N -1.2766 -0.4243 2.6395
H 1.4979 -4.1026 -1.0134
H 0.1513 4.9975 1.7141
H -0.6025 -7.2607 -1.1577
H 0.7592 -2.2446 5.4726
C -3.3924 4.2305 -1.2057
C 0.4765 2.9214 2.2008
C -2.1821 2.4283 2.5837
H 0.0503 -4.4324 1.1580
C 1.7282 1.7337 -0.5653
H 2.0183 -2.7456 3.2540
C -0.1139 -2.4331 3.5031
C -4.1475 2.9566 4.5208
H -4.4414 4.1674 -1.4664
C 2.7433 2.8007 -0.8933
H 2.0210 5.8176 3.0548
H -1.3159 -2.7429 -6.9860
C 0.7530 4.2851 2.2606
H 0.9421 -4.8159 -2.5359
C 3.8227 2.9371 -0.0238
H -2.6517 -2.8029 4.1707
H -0.5981 5.9773 -1.9551
H 5.6195 3.9893 0.4797
C -2.8593 3.3586 -0.2717
C -1.3872 -3.2946 -3.1264
C 2.5830 3.8783 3.7718
O -3.2752 -0.9465 3.5176
C -3.7620 1.6580 4.2578
H 0.4600 -6.1301 0.8492
H 1.4479 -1.1637 2.7007
C -2.5755 3.7336 2.8806
C -0.0442 -1.7927 4.8887
H -2.1236 4.5587 2.3473
H -0.2914 -3.5081 3.6188
C 2.2890 2.5221 3.7518
C -0.4195 -5.1159 -0.8585
H -2.1520 -6.4042 -1.1737
H 3.4079 4.2502 4.3661
H -3.0029 5.8779 -2.5250
C -2.7754 1.3857 3.3064
H -3.0055 -4.8357 0.9781
H 3.1362 -2.2646 -3.4345
H 3.8641 2.2655 0.8232
C -0.6993 4.3550 -0.5597
H -3.8085 -2.4157 -2.4547
C -5.9645 -3.7052 -0.1899
H 1.0169 0.9939 2.9443
H -1.1871 -2.2671 1.6542
H -2.5688 -5.0288 -3.6017
C -5.0533 -4.3611 0.6239
H -2.4968 -4.6900 -6.0281
C -5.5089 -2.9999 -1.2943
C -0.7277 -1.9781 -5.0648
N 1.5796 0.5081 -3.6125
Sr 0.2592 -0.2679 -0.2808
H -4.9137 3.1579 5.2577
H -3.3114 -2.7466 2.5210
C -3.2137 -3.6263 -0.7874
C -3.5422 3.9996 3.8324
H -1.2210 -5.6627 1.0990
C -4.1524 -2.9656 -1.5858
C -1.2374 5.2395 -1.4837
H 2.9397 -1.2403 -4.7823
C 0.9876 -4.9650 -1.4534
C 4.7964 3.8990 -0.2162
C 1.8074 4.7560 3.0314
C 1.2493 2.0502 2.9691
C -1.1037 -6.3406 -1.4788
O 1.8615 -0.9115 -1.8504
H -0.2370 -1.0994 -5.4683
H -3.8321 5.0232 4.0343
C 2.1080 -0.5863 -3.0179
O 2.0241 0.9323 0.3486
H 1.5868 -5.8609 -1.2572
N 2.9544 -1.3387 -3.7829
C -2.6831 -2.2289 3.2424
C -0.2772 -5.3438 0.6534
C -2.0226 -4.1804 -3.9997
O 0.6318 1.6892 -1.2013
```

Results
********
(The article goes on)

   I just love all the succulents here, near the coast as you're getting
  close to Carmel and Big Sur especially. Did you know SLO county 
  is considered the happiest place on earth to live?

   This does not surprise me...

Avery and I went to Avila one day, what I call my "baby" beach, and did a little shopping. 
(Is it just me or is it so laughably easy to just have one child with you?!)
And of course it's not a proper girls day out if there's not shoe shopping...

   A bend in the road....

We also took a little hike in the Morro Bay estuary area. It was gorgeous, 
you'll have to take my word for it and not the pictures which aren't the best 
due to the fog.

You can see the sun struggling to peak out here overlooking the 
valley...from where I was standing it was all darkness and fog, but in 
the distance, there was a brilliant sun. You can just barely see it 
here, but in person, It was there, just beyond reach.

I loved this rock, kinda wanted to relocate it home to my patio, not 
sure how that would work though...

There were these big cracks in the ground, thought I would break my ankle... 
Minimalist running shoes = No so bueno for hiking. But, I left my hiking shoes in 
Washington, and you gotta work with what you got.

   It took awhile to figure out which way I needed to head. There are paths 
   everywhere there, all different trails, and some are marked and some are not.

      After a bit I discovered that all the paths seemed to eventually 
     end up in the exact same place. 


Gail said...

If you weren't already a nurse, I think you'd make a great travel writer. Love how you tell a story with your photos. The shoe shopping part is so cute, and the photo of the trails that all end up in the same place. Great symbolism. Well done!

Shani said...

Thanks mama:-) I learned from the best!

NatiliaVish said...

Love the photos and that cute little baby (her mother is also kinda cool). So glad I got to see you (too briefly!) this weekend. Also love the new blog look :)

Shani said...

Thanks Lisa! Hope to see you soon, for longer! Thanks for all your help :-)